Monday 20 July 2009

What Do People Think Parks Are For ?

when i read this article about people picnicking and children playing in graveyards i couldn't believe my eyes ! what is going through peoples minds when they think it's OK to do these sorts of things, i could excuse kids slightly on the basis that kids do things they shouldn't because they are kids but haven't they been taught that playing in graveyards in an absolute no no !

Graveyard etiquette

By Jo-Anne Rowney
BBC News Magazine

Claims that tourists have been picnicking on a war grave in Scotland have prompted a hostile reaction from some. But what are the rules for behaviour at a burial ground?

How should you act where there are dead bodies under foot?

When it comes to visiting burial grounds, many people are unsure exactly what is suitable behaviour. While some attend to pay their respects or remember lost loved ones, many visit cemeteries and churchyards for less profound reasons - a leisurely walk, to take in the view or just out of curiosity.

There are codes of conduct - it's just not always clear what these are.

When, last month, a church in Wimbledon, south London, invited motorists to park in its grounds, pictures of cars tightly packed next to headstones prompted outrage in the press. This week, visitors to Culloden Battlefield, near Inverness, were criticised for picnicking where soldiers had died in the 18th Century.
Burial ground etiquette is governed by a combination of convention, common sense and the law - both local and national.
The 1977 Local Authority Cemeteries' Order, which applies to England, Scotland and Wales, sets down some basic laws of conduct. Creating a disturbance in a churchyard, committing a nuisance, wilfully interfering with burials or graves, or playing games or sports, are all finable offences.

But the public are rarely aware of the order and, to complicate matters further, other rules are set out in bye-laws - locals laws that vary from place to place.

Even so, there has always been an underlying understanding - whether you're a mourning relative or just a visitor, says Peter Francis, spokesperson for the Commonwealth War Graves Commission (CWGC).

Unruly children

"The correct behaviour almost dictates itself - most of it is common sense. Visitors are expected to be responsible, dignified and have a respectful manner," says Mr Francis.

St Mary's had offered the parking service for many years
The CWGC cares for hundreds of thousands of graves and encourages the act of remembrance. Mr Francis lumps playing football and having a picnic together as "inappropriate" behaviour when at a CWGC site. Whether "everyone knows" these rules, as he claims, could be up for debate.

Certainly, not everyone adheres to the unspoken guidelines. And the CWGC's current efforts to host school visits has not pleased everyone.

(The text is interrupted by quantum chemistry results)
- - -
Molecular formula: C3H2NO2S
Method: DFT, the ωB97M-V functional and the def2-TZVPD basis

## Properties
**ΔE to the lowest compared entry with this formula, charge and spin**: 692.98 kJ/mol

```
! RIJCOSX wB97M-V def2-TZVPD def2/J DEFGRID3
* xyz -1 1
C -0.535 -1.558 0.063
C 1.890 -0.029 0.281
C -0.291 -0.310 0.496
N -0.611 -2.677 -0.174
O -0.607 2.312 0.338
O -2.553 0.929 -0.062
S -1.090 1.031 -0.125
H 1.577 1.022 -0.142
H 2.221 -0.719 -0.675
*
```



Molecular formula: C3H2NO2S3
Method: DFT, the ωB97M-V functional and the def2-TZVPD basis

## Properties
**E_tot**: -1515.26076 a.u.

```
! RIJCOSX wB97M-V def2-TZVPD def2/J DEFGRID3
* xyz -1 1
C 0.077 0.808 0.954
C 0.117 0.116 -0.041
C -1.996 3.985 -0.290
N -1.669 3.254 -1.124
O -2.281 1.293 -3.171
O -3.483 1.075 -0.996
S -1.871 4.931 1.038
S -0.266 4.208 1.989
S -2.262 1.351 -1.732
H -0.200 1.464 1.771
H 0.435 -0.380 -0.845
*
```

* * * * *

[1]
44
Properties=species:S:1:pos:R:3:forces:R:3:mulliken_charge:R:1 method="wB97M-V/def2-TZVPD" total_energy_ha=-740.41269 largest_force_ha_per_bohr=0.05173 charge=+1 lumo_ev=-2.33
O -0.6387 -2.0295 0.4459 0.354 0.157 -0.301 -0.1417
O 0.3648 1.9879 -0.3939 0.361 -0.072 -0.840 0.0284
O -2.0541 0.5282 0.3590 1.067 -0.590 -0.152 -0.2674
N -0.3104 -0.2461 -2.2673 -0.579 0.723 -0.237 -0.5742
N 1.8071 -0.5391 0.7762 0.643 0.736 -1.386 -0.5662
C 1.7368 -1.9228 0.2388 0.747 -1.294 2.200 0.5873
C -0.1470 1.1932 -2.6520 0.764 -0.378 -0.298 0.3345
C 0.8744 1.8788 -1.7332 -1.004 0.163 -0.277 -0.8578
C 3.0496 -2.6671 0.5786 -0.039 0.106 -1.053 -1.5757
C -1.8238 -2.6396 0.9220 -0.325 1.145 0.234 -0.9938
C -2.3135 1.0273 1.6705 -0.387 0.486 -0.023 -0.3806
C 0.5585 -2.6352 0.8997 -0.037 0.266 0.002 -0.8741
C 1.0108 3.0439 0.3198 -0.433 -0.949 0.894 -1.0040
C -1.1428 0.7176 2.6040 -1.304 -0.381 0.205 -0.7615
C -1.4470 1.9721 -2.7347 -0.193 0.202 0.741 -1.4269
Li -0.1054 0.0467 -0.1244 -0.478 -0.318 0.266 0.6344
H -2.6591 -2.0882 0.4887 0.099 -0.268 -0.444 0.2436
H 0.5813 3.9963 0.0142 0.424 0.154 -0.076 0.2985
H 0.5626 -3.7043 0.6662 0.025 0.011 -0.083 0.4919
H 1.6104 -1.9923 -0.8388 -0.147 0.655 -0.105 0.0037
H 3.7901 -2.2498 -0.1100 0.255 -0.186 0.198 0.4156
H -1.2515 1.3266 3.5020 0.227 0.317 -0.171 0.3823
H 3.4282 -2.5348 1.5900 -0.329 0.118 0.159 0.3847
H -1.2767 -0.2927 2.9953 0.539 -0.194 -0.339 0.2043
H -2.4719 2.1090 1.6318 -0.008 -0.014 -0.099 0.3810
H 0.3413 -0.7737 -2.8415 0.168 -0.089 0.309 0.2627
H -0.1824 0.8749 2.1256 0.141 -0.043 0.100 0.0462
H -1.8612 -3.6935 0.6621 -0.046 -0.140 0.211 0.3590
H 1.8071 1.3125 -1.7068 0.245 0.199 -0.167 0.2955
H -1.3547 2.7710 -3.4676 -0.160 -0.164 -0.205 0.4046
H -3.2405 0.5641 2.0176 0.087 0.098 0.278 0.3911
H 0.7772 2.8514 1.3704 -0.153 0.301 -0.064 0.2662
H -1.2093 -0.5014 -2.6785 0.061 -0.319 0.453 0.2125
H -2.7118 0.7270 -0.3073 -0.382 0.321 0.303 0.1690
H 2.5594 -0.0696 0.2565 -0.514 0.046 -0.374 0.2326
H 2.0988 2.9562 0.2693 -0.016 0.358 -0.456 0.3815
H 2.9834 -3.7356 0.3686 -0.020 0.020 0.010 0.4103
- - -

One recent letter to the commission complained: "[The children] ran about shouting and chasing each other around the graves and climbed all over the monument… I fear before long the cemeteries will become some sort of theme park for children's war games."
While games and dining are out - touching headstones and plaques is acceptable, says Mr Francis.

"[They] were made to be read and looked at - to commemorate lives. It is just a case of knowing when to draw the line."

But Lee Snashfold, director of Kensal Green Cemetery, in London, says the line between what is inappropriate or not changes with society's shifting values.

'Outrageous behaviour'

"There are three types of rules. Firstly the bye-laws, secondly the cemetery regulations at each site," explains Mr Snashfold. "Then there are the rules of etiquette - common sense - that's anything that is an inconvenience to the people using the services."

A family was spotted leaning on a memorial eating scotch eggs
He cites the example of how changes to shop opening hours have had a knock-on effect on how people remember the deceased. Shops used to close mid-week, and families would take the time to visit dead relatives, says Mr Snashfold.
"I suppose there's been a shift away from the tradition, but the underlying expectations and respect is there. It may have eroded over the years, but it will always be there."

Sometimes, though, decorum has clearly been forgotten.
"I've seen some outrageous behaviour," says Mr Snashfold. "There was once a photographer and model who were taking photos without permission. He was clicking away as a service was going on."

Even those who might be expected to know the customs inside-out, can find they have misjudged society's views. When, in June, St Mary's church, in Wimbledon Village, charged tennis fans £20 a day to park in its burial ground, it justified the decision by saying the graves were 200 years old or more. No living relatives would be offended, it said. It also gave the money to charities.

• Quantum chemistry results, as found in the file:
=====
[1]
Here is a 20-piece molecular cluster, H40O20 overall from the Open Molecules 2025 dataset. Energies are from ωB97M-V/def2-TZVPD.

Geometry (Å):
1 O 4.379683 -2.985479 1.283272
2 H 3.983117 -2.435070 0.599297
3 H 5.094750 -3.479572 0.878732
4 O -1.128727 -4.034605 -1.028178
5 H -1.841676 -3.962441 -1.661122
6 H -0.318524 -3.934666 -1.531288
7 O -0.607216 -4.384572 3.617379
8 H -1.137402 -4.464619 2.822575
9 H 0.217026 -4.807137 3.350795
10 O -0.702813 -0.998811 -1.151018
11 H -0.866503 -1.450567 -0.302559
12 H -1.442654 -0.464452 -1.423820
13 O 1.859448 1.987632 -4.585823
14 H 2.188933 2.625155 -3.938711
15 H 2.018432 2.450002 -5.416454
16 O 5.209478 2.608535 1.618813
17 H 4.399117 2.274478 2.008568
18 H 5.764675 1.898324 1.297924
19 O 1.360735 3.614333 4.277745
20 H 0.446569 3.781761 4.062801
21 H 1.472624 2.695615 4.053071
22 O -1.973242 1.638500 -3.174694
23 H -1.571742 2.473272 -3.435424
24 H -1.886216 1.138804 -3.995792
25 O 1.821839 -1.974862 -2.080559
26 H 2.010882 -2.896196 -2.292101
27 H 0.875147 -1.892898 -2.283959
28 O 1.575280 0.004591 -0.118997
29 H 1.148911 0.025726 -0.982630
30 H 1.379449 -0.921375 0.059065
31 O -1.859854 1.745699 1.190884
32 H -1.134227 1.265740 0.775859
33 H -1.612595 1.873184 2.114495
34 O -1.541776 -1.807371 1.143493
35 H -1.900205 -2.644046 0.843985
36 H -1.214966 -1.733006 2.041358
37 O -2.633817 1.922271 4.476681
38 H -3.447211 2.118594 3.997338
39 H -2.994569 1.070763 4.732854
40 O -4.785082 1.149732 -3.078036
41 H -4.692721 0.206261 -3.240553
42 H -3.868533 1.449265 -2.955845
43 O -4.080697 -3.215862 1.050575
44 H -4.131298 -2.568111 0.348432
45 H -4.613320 -3.995361 0.933511
46 O 3.791979 2.846919 -1.250549
47 H 4.069714 2.031405 -1.651174
48 H 3.935160 3.136079 -0.352669
49 O 0.484573 -2.437400 -4.888534
50 H 1.048074 -1.738104 -4.565430
51 H 0.050260 -2.244748 -5.714870
52 O -0.973805 5.424385 0.126559
53 H -1.302753 4.537553 0.257894
54 H -1.176981 5.810909 -0.723184
55 O -4.482301 0.605452 2.890953
56 H -5.014571 1.346073 2.562833
57 H -4.305898 0.217424 2.026661
58 O 4.554212 -0.157718 2.010322
59 H 4.997660 0.585519 2.416817
60 H 5.106188 -0.930914 1.952430

Atoms 1-2, force components in eV/Å:
O -0.02 0.12 0.28
H 0.04 -0.01 -0.11

- Charge: 0
- Orbital gap: 9.9 eV
- Energy above the lowest of the compared OMol25 structures with the same formula, charge and spin: 109.5 kcal per mole
- Molar mass: 360.3 g mol⁻¹
- 2S+1: 1

[2]
Here is a 20-piece molecular cluster, H40O20 overall from the Open Molecules 2025 dataset. Energies are from ωB97M-V/def2-TZVPD.

Geometry (Å):
1 O 2.746330 -1.269255 2.599366
2 H 3.638879 -1.011988 2.368281
3 H 2.838414 -2.145389 2.973712
4 O -3.859654 -1.815556 -2.666275
5 H -3.004193 -1.974947 -2.267523
6 H -4.237955 -1.105918 -2.147124
7 O 0.159556 3.307765 -0.443951
8 H 0.856440 3.710536 -0.961990
9 H 0.381541 2.376845 -0.425674
10 O -4.818521 1.547335 0.248380
11 H -5.033932 0.810841 0.820588
12 H -3.874949 1.666924 0.356064
13 O -1.240644 -3.774757 2.788405
=====

But faced with public distaste, the church called a swift halt to the scheme.
No matter how much has time has elapsed it should not affect conduct, says Canon Tim Barker.
"Churchyards are still special places - consecrated ground - whether a grave is a year old or from the 1840s, whether there are living relatives or not."
Some churchyards do fall into a state of disrepair, in Horncastle, Lincolnshire, a town church has become an antiques centre. The surrounding graveyard is now used as a public area, so the accepted conduct is more lenient.
"If a churchyard is closed for burials it may affect the public's view," says Canon Barker, "But most people know it is still somewhere to be respected and naturally adapt their behaviour."


  1. This comment has been removed by the author.

What comes next are data records, not part of the page
<<<
{
  "formula": "C32H84BN2O22",
  "method": "the ωB97M-V functional and the def2-TZVPD basis",
  "total_charge": -1,
  "homo_lumo_gap_ev": 9.168,
  "e_above_lowest_kj_mol": 280.23,
  "e_tot_ha": -3059.47586,
  "fmax_ha_per_bohr": 0.0958,
  "e_lumo_ev": 1.776,
  "elements": ["O", "C", "O", "B", "O", "C", "O", "O", "C", "O", "C", "O", "O", "C", "O", "H", "H", "H", "H", "C", "O", "H", "H", "H", "H", "C", "O", "H", "H", "H", "H", "C", "O", "H", "H", "H", "H", "C", "O", "H", "H", "H", "H", "C", "O", "H", "H", "H", "H", "C", "O", "N", "N", "H", "H", "H", "H", "C", "C", "C", "O", "H", "H", "H", "H", "H", "H", "H", "H", "C", "C", "C", "O", "H", "H", "H", "H", "H", "H", "H", "H", "C", "C", "C", "O", "H", "H", "H", "H", "H", "H", "H", "H", "C", "C", "C", "O", "H", "H", "H", "H", "H", "H", "H", "H", "C", "C", "C", "O", "H", "H", "H", "H", "H", "H", "H", "H", "C", "C", "C", "O", "H", "H", "H", "H", "H", "H", "H", "H", "C", "C", "C", "O", "H", "H", "H", "H", "H", "H", "H", "H"],
>>>

  2. i can't see anything in there which states you should not walk through one when absolutely blotto so you can shimmy over your own garden wall and see if you are burglar proof? phew...

  3. no it doesn't, apparently thats perfectly acceptable, ha ha !
